Brief >
What is needed: copy the data below without additions.

Listing >
'''
Diffraction record for Te4PdRu. The powder diffractogram is calculated, not measured: it uses a GGA-PBE-relaxed structure and CuKα.
Intensities are scaled so that the largest is 100.

Atomic structure:
```
data_Te4PdRu
_cell_length_a 6.585
_cell_length_b 6.608
_cell_length_c 6.573
_cell_angle_alpha 90.00
_cell_angle_beta 90.77
_cell_angle_gamma 90.00
_space_group_name_H-M_alt 'P 1 21/c 1'
_space_group_IT_number 14
_space_group_name_Hall '-P 2ybc'
loop_
_atom_site_label
_atom_site_fract_x
_atom_site_fract_y
_atom_site_fract_z
Te1 0.118 0.133 0.135
Te2 0.364 0.625 0.120
Pd1 0.500 0.000 0.000
Ru1 0.000 0.000 0.500
```

Main lines, sorted by position (10 to 80 degrees two-theta):
h k l, two_theta, Rel. int.
2 0 0, 27.04, 29
0 2 1, 30.27, 100
2 1 0, 30.33, 72
1 0 2, 30.57, 42
2 1 -1, 33.18, 89
1 2 1, 33.34, 32
1 1 2, 33.49, 41
1 1 -3, 45.54, 85
3 1 1, 45.90, 53
2 3 -1, 51.71, 28

Diffraction record for Tm5Ga2S2. The powder diffractogram is calculated, not measured: it uses a GGA-PBE-relaxed structure and CuKα.
Intensities are scaled so that the largest is 100.

Atomic structure:
```
data_Tm5Ga2S2
_cell_length_a 14.280
_cell_length_b 7.380
_cell_length_c 7.450
_cell_angle_alpha 90.00
_cell_angle_beta 90.00
_cell_angle_gamma 90.00
_space_group_name_H-M_alt 'C m c e'
_space_group_IT_number 64
_space_group_name_Hall '-C 2ac 2'
loop_
_atom_site_label
_atom_site_fract_x
_atom_site_fract_y
_atom_site_fract_z
Tm1 0.000 0.000 0.000
Tm2 0.144 0.171 0.341
Ga1 0.000 0.126 0.624
S1 0.195 0.000 0.000
```

Main lines, sorted by position (10 to 80 degrees two-theta):
h k l, two_theta, Rel. int.
0 2 1, 26.97, 40
1 1 2, 27.54, 23
3 1 2, 32.86, 100
4 0 2, 34.81, 22
4 2 0, 34.97, 31
4 2 1, 37.06, 57
6 0 0, 37.80, 30
1 1 3, 38.78, 38
1 3 1, 39.07, 43
3 3 3, 56.06, 28

~~~~~

Starting from a structure optimized by DFT (GGA-PBE), the X-ray powder pattern of VCoMoPt was simulated for copper Kα.

Principal peaks in the range 2θ = 10–90°, most intense first:
(1 1 1), 2.188 Å, I = 100
(1 0 0), 3.651 Å, I = 19
(0 1 1), 2.733 Å, I = 18
(0 0 2), 1.945 Å, I = 17
(0 2 0), 1.920 Å, I = 17
(2 0 0), 1.826 Å, I = 14
(1 1 3), 1.165 Å, I = 13
(1 3 1), 1.153 Å, I = 12
(3 1 1), 1.112 Å, I = 11
(2 2 2), 1.094 Å, I = 11

Cell and atoms:
```
data_VCoMoPt
_chemical_formula_sum 'V1 Co1 Mo1 Pt1'
_cell_length_a 3.651
_cell_length_b 3.840
_cell_length_c 3.891
_cell_angle_alpha 90.00
_cell_angle_beta 90.00
_cell_angle_gamma 90.00
_symmetry_space_group_name_H-M 'P m m m'
_symmetry_Int_Tables_number 47
_symmetry_space_group_name_Hall '-P 2 2'
loop_
_atom_site_label
_atom_site_type_symbol
_atom_site_fract_x
_atom_site_fract_y
_atom_site_fract_z
V1 V 0.000 0.000 0.000
Co1 Co 0.000 0.500 0.500
Mo1 Mo 0.500 0.500 0.000
Pt1 Pt 0.500 0.000 0.500
```
'''

Completed >
Diffraction record for Te4PdRu. The powder diffractogram is calculated, not measured: it uses a GGA-PBE-relaxed structure and CuKα.
Intensities are scaled so that the largest is 100.

Atomic structure:
```
data_Te4PdRu
_cell_length_a 6.585
_cell_length_b 6.608
_cell_length_c 6.573
_cell_angle_alpha 90.00
_cell_angle_beta 90.77
_cell_angle_gamma 90.00
_space_group_name_H-M_alt 'P 1 21/c 1'
_space_group_IT_number 14
_space_group_name_Hall '-P 2ybc'
loop_
_atom_site_label
_atom_site_fract_x
_atom_site_fract_y
_atom_site_fract_z
Te1 0.118 0.133 0.135
Te2 0.364 0.625 0.120
Pd1 0.500 0.000 0.000
Ru1 0.000 0.000 0.500
```

Main lines, sorted by position (10 to 80 degrees two-theta):
h k l, two_theta, Rel. int.
2 0 0, 27.04, 29
0 2 1, 30.27, 100
2 1 0, 30.33, 72
1 0 2, 30.57, 42
2 1 -1, 33.18, 89
1 2 1, 33.34, 32
1 1 2, 33.49, 41
1 1 -3, 45.54, 85
3 1 1, 45.90, 53
2 3 -1, 51.71, 28

Diffraction record for Tm5Ga2S2. The powder diffractogram is calculated, not measured: it uses a GGA-PBE-relaxed structure and CuKα.
Intensities are scaled so that the largest is 100.

Atomic structure:
```
data_Tm5Ga2S2
_cell_length_a 14.280
_cell_length_b 7.380
_cell_length_c 7.450
_cell_angle_alpha 90.00
_cell_angle_beta 90.00
_cell_angle_gamma 90.00
_space_group_name_H-M_alt 'C m c e'
_space_group_IT_number 64
_space_group_name_Hall '-C 2ac 2'
loop_
_atom_site_label
_atom_site_fract_x
_atom_site_fract_y
_atom_site_fract_z
Tm1 0.000 0.000 0.000
Tm2 0.144 0.171 0.341
Ga1 0.000 0.126 0.624
S1 0.195 0.000 0.000
```

Main lines, sorted by position (10 to 80 degrees two-theta):
h k l, two_theta, Rel. int.
0 2 1, 26.97, 40
1 1 2, 27.54, 23
3 1 2, 32.86, 100
4 0 2, 34.81, 22
4 2 0, 34.97, 31
4 2 1, 37.06, 57
6 0 0, 37.80, 30
1 1 3, 38.78, 38
1 3 1, 39.07, 43
3 3 3, 56.06, 28

~~~~~

Starting from a structure optimized by DFT (GGA-PBE), the X-ray powder pattern of VCoMoPt was simulated for copper Kα.

Principal peaks in the range 2θ = 10–90°, most intense first:
(1 1 1), 2.188 Å, I = 100
(1 0 0), 3.651 Å, I = 19
(0 1 1), 2.733 Å, I = 18
(0 0 2), 1.945 Å, I = 17
(0 2 0), 1.920 Å, I = 17
(2 0 0), 1.826 Å, I = 14
(1 1 3), 1.165 Å, I = 13
(1 3 1), 1.153 Å, I = 12
(3 1 1), 1.112 Å, I = 11
(2 2 2), 1.094 Å, I = 11

Cell and atoms:
```
data_VCoMoPt
_chemical_formula_sum 'V1 Co1 Mo1 Pt1'
_cell_length_a 3.651
_cell_length_b 3.840
_cell_length_c 3.891
_cell_angle_alpha 90.00
_cell_angle_beta 90.00
_cell_angle_gamma 90.00
_symmetry_space_group_name_H-M 'P m m m'
_symmetry_Int_Tables_number 47
_symmetry_space_group_name_Hall '-P 2 2'
loop_
_atom_site_label
_atom_site_type_symbol
_atom_site_fract_x
_atom_site_fract_y
_atom_site_fract_z
V1 V 0.000 0.000 0.000
Co1 Co 0.000 0.500 0.500
Mo1 Mo 0.500 0.500 0.000
Pt1 Pt 0.500 0.000 0.500
```